Intro Link to heading

Recently I have read “State Estimation for Robotics” book and came across a good example on one-dimensional nonlinear estimation problem: the estimation of the position of a landmark from stereo-camera data.

Distance from stereo-images Link to heading

The camera image is a projection of the world on the image plane. The depth perceptions arises from disparity of 3d point (landmark) on two images, obtained from left and right cameras.

$$disparity = x_{left} - x_{right}$$


Having two images with known landmark positions in image coordinates (pixels), it turns out that we can calculate the depth between camera and the landmark.

To do so, let’s draw a simple scheme of two pinholes cameras’ setup and derive the equation for depth, or forward distance, between the camera and the landmark.


On the preceding image $l$ is the landmark, $(x, z)$ is the landmark position w.r.t. the left camera $c_{left}$ (meters). We want to find $z$, depth of the landmark. By design, the focal length $f$ (in pixels) and baseline $b$, which is the horizontal distance between left and right cameras (in meters) are known.

From the similar triangles (marked with arcs) and under assumption that the optical axes of the cameras are parallel we have (for simplicty $x_{left} = x_{l}, x_{right} = x_r$):

$$\frac{z}{f} = \frac{x}{x_{l}} = \frac{x-b}{x_{r}}.$$

Now, expressing $x$ in terms of $x_{l}$ and $x_{r}$ gives:

$$x x_{r} = (x - b) x_{l}$$ $$x (x_{r} - x_{l}) = -b x_{l}$$ $$x = \frac{b x_{l}}{x_{l} - x_{r}}$$

Substituting it into previous equation:

# Someone pasted data records at this point
/*
Record 1
The following is a quantum chemistry calculation of the molecule C27H38BBr2NO12S, from OMol25.

Last column: Löwdin charge in e.
Cartesian coordinates (Å):
C 1.334213 1.274658 5.368736  -0.0526
C 0.008748 1.960633 5.825698  -0.2354
O -1.033518 1.537093 4.937748  -0.1549
C -1.570240 0.293085 5.338079  -0.1990
C -2.388105 -0.242036 4.176977  -0.1577
O -1.550485 -0.672662 3.115884  -0.1383
C -2.250945 -1.106597 1.973124  -0.2378
C -2.018172 -0.213772 0.693952  -0.6403
Br -3.703739 -0.745780 -0.279335  0.8749
O -2.084289 1.061112 1.315094  -0.2869
S -2.314647 2.400312 0.399756  1.0087
O -2.300578 3.507314 1.304943  -0.3286
O -0.879041 2.446610 -0.467493  -0.2234
C -0.998150 1.603314 -1.672863  -0.3827
C -0.363174 2.530618 -2.727080  -0.0549
C -0.771628 4.027042 -2.546680  -0.1571
O -0.382029 4.719490 -3.733644  -0.0377
C -1.329955 4.663485 -4.729174  -0.3360
O -1.023755 4.206460 -5.797388  0.0946
O -2.406794 1.503403 -1.924516  -0.0940
C -2.940406 1.870138 -3.031808  -0.3305
N -3.294663 2.243953 -4.084664  0.2247
C -0.322794 0.191632 -1.452965  -0.1737
C -0.961955 -0.522640 -2.722237  -0.1180
C -0.122843 -1.518893 -3.555312  -0.0787
C -0.897649 -1.816779 -4.862220  -0.4637
O -0.335754 -1.926505 -5.918767  0.1356
O -2.277790 -1.951896 -4.803830  0.0710
C 1.204764 0.374878 -1.702132  -0.0693
C 2.339836 -0.555349 -1.330208  -0.1750
C 2.675232 -1.795636 -1.826952  -0.0962
C 3.778064 -2.520213 -1.429674  -0.1236
C 4.647566 -2.012230 -0.498074  -0.0499
C 4.371350 -0.755729 0.019817  -0.2585
C 5.321713 -0.190784 1.071068  -0.0332
C 3.268489 -0.069454 -0.400491  -0.0148
C -0.676977 -0.541577 -0.031845  -0.1422
C -0.628057 -2.057550 -0.398802  -0.1703
C -0.369901 -3.154624 0.672655  -0.6753
C -1.308591 -4.363147 0.418017  -0.1499
Br 1.461047 -3.904506 0.558001  0.7812
B 0.416651 -0.105750 1.106643  -0.6308
O 1.031703 -0.952265 2.015365  0.1322
O 0.889972 1.179195 1.192477  0.1740
H 1.267304 1.215692 4.278424  0.0688
H 2.181558 1.886726 5.688566  0.0721
H 1.351139 0.281112 5.822853  0.0663
H -0.265418 1.610955 6.831703  0.1122
H 0.072922 3.048872 5.771165  0.1171
H -0.821048 -0.424715 5.695572  0.1284
H -2.299314 0.501748 6.143459  0.1353
H -3.026941 -1.085516 4.482943  0.1384
H -3.030432 0.591084 3.852573  0.1414
H -2.266866 -2.182861 1.787105  0.1092
H -3.296947 -0.884168 2.232962  0.0879
H 0.720423 2.637990 -2.627263  0.1314
H -0.485717 2.210177 -3.767804  0.1350
H -1.832509 4.149376 -2.284254  0.1273
H -0.203768 4.483514 -1.735159  0.1349
H -2.341101 5.078568 -4.578748  0.1500
H -1.904743 -1.029761 -2.503432  0.0849
H -1.211896 0.213068 -3.501586  0.1104
H 0.026430 -2.506655 -3.102213  0.1208
H 0.845759 -1.159545 -3.902571  0.1159
H -2.671820 -1.094949 -4.592970  0.1014
H 1.438106 1.331687 -1.216529  0.1159
H 1.350441 0.609510 -2.766516  0.1332
H 2.052377 -2.255870 -2.586448  0.0921
H 3.973243 -3.486251 -1.885506  0.1134
H 5.513729 -2.606783 -0.223991  0.1187
H 6.298779 -0.663701 0.951518  0.0751
H 4.934327 -0.540554 2.040057  0.0868
*/

$$\frac{z}{f} = \frac{b}{x_r - x_l}$$

we can derive the equation for depth, or $z$ as:

$$z = \frac{f b}{x_l - x_r}.$$

Bayesian model Link to heading

From the depth equation the measurement model for disparity $disparity = x_l - x_r$ can be written as:

$$disparity = x_l - x_r = y = \frac{f b}{z} + n,$$

where the state $z$ is the depth of the landmark (meters) and $n$ is the measurement noise (in pixels), all other terms were defined earlier. Despite of being simple it is a nonlinear model: $f(x_1 + x_2) \neq f(x_1) + f(x_2)$.

This fact can be visualized by passing the state through our measurement function. After applying this transform evenly spaced samples from our state space become unevenly spaced:

fig, ax = plt.subplots(1, 1, figsize = (10, 3))

# depth
z_space = np.linspace(1e-8, 40, 100)
# corresponding disparity measurements

measurement_space = 400 * 0.1 / z_space
ax.vlines(z_space, 0, 0.2, colors='k', label = "state samples, $z$", lw = 0.5)
ax.vlines(measurement_space, 0, 0.2, colors='green', label = "measurement samples, $y$", lw = 0.5)
ax.set_xlim(0, 40)
ax.set_ylim(-0.2, 0.4)


The Bayesian update is defined as:

$$p(z|y) = \eta~p(y|z)~p(z),$$

where $\eta = \frac{1}{p(y)} = \frac{1}{\int p(y|z)~p(z)~dz}$ is the normalizer.

To perform such update, the probabilities of $p(y|z)$ and $p(z)$ must be known. Our choice is to define the measurement noise as zero-mean Gaussian $n \sim N(0, R)$. Thus:

$$p(y|z) = N\left(\frac{f b}{z}, R\right) = \frac{1}{\sqrt{2 \pi R}} exp\left(-\frac{1}{2 R} \left(y - \frac{f b}{z}\right)^2\right).$$

We also asssume that the prior is Gaussian:

$$p(z) = N(z^{-}, P^{-}) = \frac{1}{\sqrt{2 \pi P^{-}}} exp\left(-\frac{1}{2 P^{-}} (z - z^{-})^2\right).$$

The Bayesian framework consists of the following operations:

  1. Get the prior $p(z)$ over the state space $z$, given the current estimate $z^{-}$.
  2. Obtain the measurement $y$.
  3. Calculate the measurement likelihood using $p(y|z)$.
  4. Calculate the posterior $p(z|y)$ using Bayes rule.

Visualization Link to heading

To illustrate how this nonlinearity affects the pdf of the posterior it is possible to perform numerical experiments. For such an experiment, the selected parameters are the following:

$$z^{-} = 20~[m],~P^{-} = 9~[m^2],~f = 400~[pixel],~b = 0.1~[m],~R = 0.09~[pixel^2].$$

The parameters for posterior calculation:

$$z_{true} = 22~[m],~y_{meas} = \frac{f b}{z_{true}} + 1~[pixel].$$
# prior parameters
z_prior = 20
P_prior = 9
f = 400
b = 0.1
R = 0.09

# measurement parameters
z_true = 22
noise = 1.0
y_meas = f * b / z_true + noise

fig, ax = plt.subplots(1, 1, figsize = (15, 4))

# prior
z_space = np.linspace(1e-8, 40, 10000)
priors = stats.norm.pdf(z_space, loc = z_prior, scale = np.sqrt(P_prior))
priors = priors / priors.sum()
ax.plot(z_space, priors, 'r-', label = "prior")

# likelihood
measurement_space = 400 * 0.1 / z_space
likelihoods = stats.norm.pdf(measurement_space, loc = y_meas, scale = np.sqrt(R))
likelihoods = likelihoods / likelihoods.sum()
ax.plot(z_space, likelihoods, 'g--', label = "likelihood")

# posterior
posteriors = priors * likelihoods
posteriors = posteriors / np.sum(posteriors)
ax.plot(z_space, posteriors, 'b-.', label = "posterior")

ymin, ymax = ax.get_ylim()
ax.vlines([z_true], ymin, ymax, colors = 'magenta', linestyles = 'dotted', label = '$z_{true}$')

zFromMeas = f * b / y_meas
ax.vlines([zFromMeas], ymin, ymax, colors = 'brown', linestyles = 'dotted', label = '$g^{-1}(y_{meas})$')

maxPosterior = np.argmax(posteriors)
ax.vlines([z_space[maxPosterior]], ymin, ymax, colors = 'blue', linestyles = 'dotted', label = '$z^{+}$')



The maximum likelihood estimation (MLE) can be utilized when we want to use only the measurements and have no prior information about possible system state. It helps to find the answer to the following question: which value of $z$ is most probable given the measurement $y$?

However, if we know the prior distribution of our parameter of interest, it is generally a good idea to take it into account. The incorporation of the measurement results in more concentrated (less uncertainty) posterior about the state than the prior.

We can find the most probable posterior value for this concrete example by visual inspection of the posterior PDF. However, it is not the case for most real-life problems. To overcome this problem the maximum a posteriori (MAP) approach can be utilized. It is used to find the peak of the posterior.

Maximum Likelihood estimation Link to heading

Talking about the maximum likelihood estimation we seek for a value that maximizes the likelihood of our measurement, or data, given the state $z$:

$$\hat{x}_{mle} = \underset{x}{arg~max}~p(y|x),$$

going to the $log$ space:

$$\hat{x}_{mle} = \underset{x}{arg~min}~(-ln(p(y|x))).$$

Note: if we want to find MLE for a number of measurements, or samples under assumption that they are undepended, we replace $p(y|x)$ by the product of individual samples probabilities: $\underset{i}{\prod} p(y_i|x)$. This leads to the following $\hat{x}_{mle}$:

$$\hat{x}_{mle} = \underset{x}{arg~min}~(-\underset{i}{\sum}ln(p(y_i|x))).$$

For stereo-camera depth estimate:

$$\hat{z}_{mle} = \underset{z}{arg~min}~J_{mle}(z),$$

where $J_{mle}(z)$ can be found as:

$$J_{mle}(z) = \frac{1}{2 R} \left(y - \frac{f b}{z}\right)^2,$$

after dropping the constants that do not depend on $x$.

Maximum a Posteriori estimation Link to heading

When we are talking about maximum a posteriori estimation we assume that we want to find the single state value $x$ that maximizes the true posterior:

$$\hat{x}_{map} = \underset{x}{arg~max}~p(x|y),$$

# These molecular data were left in the entry by mistake
- - -
Record 1
{
  "formula": "C38H73Cl18F7IN3O8P3",
  "method": "wB97M-V/def2-TZVPD",
  "symbols": ["C", "C", "C", "C", "N", "P", "P", "O", "O", "O", "C", "C", "C", "C", "O", "C", "C", "C", "C", "O", "P", "O", "O", "C", "N", "C", "F", "F", "F", "C", "N", "C", "C", "O", "C", "I", "C", "F", "F", "C", "F", "F", "H", "H", "H", "H", "H", "H", "H", "H", "H", "H", "H", "H", "H", "H", "H", "H", "H", "H", "H", "H", "H", "H", "H", "H", "H", "H", "H", "H", "H", "H", "H", "H", "H", "H", "H", "H", "H", "Cl", "C", "C", "Cl", "H", "H", "H", "H", "Cl", "C", "C", "Cl", "H", "H", "H", "H", "Cl", "C", "C", "Cl", "H", "H", "H", "H", "Cl", "C", "C", "Cl", "H", "H", "H", "H", "Cl", "C", "C", "Cl", "H", "H", "H", "H", "Cl", "C", "C", "Cl", "H", "H", "H", "H", "Cl", "C", "C", "Cl", "H", "H", "H", "H", "Cl", "C", "C", "Cl", "H", "H", "H", "H", "Cl", "C", "C", "Cl", "H", "H", "H", "H"],
- - -
# The entry goes on

or, alternatively, because $log$ is the monotolically increasing function:

$$\hat{x}_{map} = \underset{x}{arg~min}~(-ln(p(x|y))).$$

Applying the Bayes rule we have:

$$\hat{x}_{map} = \underset{x}{arg~min}~(-ln(p(y|x)) - ln(p(x))),$$

where $p(y)$ is being dropped because it does not depend on $x$. Again, if we have a number of measurements $y_i$, we have to add their product that leads to the sum after switching to the $log$ space.

In the stereo-camera depth estimate we can write:

$$\hat{z}_{map} = \underset{z}{arg~min}~J_{map}(z),$$

where $J(z)$ is obtained by dropping the constants that do not depend on $x$:

$$J_{map}(z) = \frac{1}{2 R} \left(y - \frac{f b}{z}\right)^2 + \frac{1}{2 P^{-}} \left(z^{-} - z\right)^2$$

Both MLE and MAP estimates can be found using a number of numerical optimization techniques by minimizing our target cost functions $J_{mle}$ or $J_{map}$.

Let’s go back and find the MLE and MAP estimates of $z$:

from scipy.optimize import minimize

Jz_mle = lambda z: 1.0 / (2.0 * R) * (y_meas - f * b / z) ** 2

ml_estimate = minimize(Jz_mle, 1e-8).x[0]

print("ML estimate:", ml_estimate)

Jz_map = lambda z: 1.0 / (2.0 * R) * (y_meas - f * b / z) ** 2 + \
        1.0 / (2.0 * P_prior) * (z_prior - z) ** 2

map_estimate = minimize(Jz_map, 1e-8).x[0]
print("MAP estimate: ", map_estimate)

ax.vlines([ml_estimate], ymin, ymax, colors = 'green', linestyles = '-', label = '$z_{ml}$')

ax.vlines([map_estimate], ymin, ymax, colors = 'blue', linestyles = '-', label = '$z_{map}$')

ML estimate: 14.19354712952584
MAP estimate:  15.671431302257346


To test whether or not the estimators find the true value of $z$ the simulations can be performed, estimating the residual between true and estimated states.

results = {'true_state' : [], 'measurement' : [], "map_estimate" : [], "mle_estimate" : []}

for i in range(0, 10000):
    z_true = np.random.normal(z_prior, np.sqrt(P_prior))
    y_meas = np.random.normal(f * b / z_true, np.sqrt(R))
    Jz_mle = lambda z: 1.0 / (2.0 * R) * (y_meas - f * b / z) ** 2
    mle_estimate = minimize(Jz_mle, 1e-8).x[0]
    Jz_map = lambda z: 1.0 / (2.0 * R) * (y_meas - f * b / z) ** 2 + \
        1.0 / (2.0 * P_prior) * (z_prior - z) ** 2
    map_estimate = minimize(Jz_map, 1e-8).x[0]

true_results = np.array(results['true_state'])
mle_results = np.array(results['mle_estimate'])
map_results = np.array(results['map_estimate'])

fig, ax = plt.subplots(1, 1, figsize = (15, 4))
ax.hist(mle_results, bins=50, alpha = 0.5, density = True, label = "MLE estimate");
ax.hist(map_results, bins=50, alpha = 0.5, density = True, label = "MAP estimate");

print("Mean error MAP and true state:", np.mean(map_results - true_results))
print("Variance of the error: ", np.mean((map_results  - true_results) ** 2))

print("Mean error MLE and true state:", np.mean(mle_results - true_results))
print("Variance of the error: ", np.mean((mle_results  - true_results) ** 2))
Mean error MAP and true state: -0.3708958146195719
Variance of the error:  4.335754086406355
Mean error MLE and true state: 0.475211450081065
Variance of the error:  13.431400451884032


When selecting between MLE and MAP estimators it is a good practice to use MAP when the prior is given or can be inferred from experiments or researcher’s intuition. Also, it is important to note that if the prior is a uniform distribution, MAP becomes an equivalent to MLE.

Both MLE and MAP estimators are biased even for such vanilla example. Why it happens and what to do with that? There is no straightforward answer: it depends on the problem. One of approaches that tackle this problem is the Bias-Variance decomposition.

Jupyter notebook is available here.